### Wanted
Repeat the lines underneath exactly, please.

### Listing
{
  "formula": "C47H62OP2SSiSn",
  "method": "the ωB97M-V functional and the def2-TZVPD basis",
  "gap_ev": 6.43,
  "e_tot_ha": -3487.56403,
  "de_lowest_kcal_mol": 46.19,
  "fmax_ev_per_a": 0.769,
  "total_charge": 2,
  "e_homo_ev": -13.10,
  "symbols": ["Sn", "C", "Si", "C", "C", "C", "C", "C", "C", "P", "C", "C", "C", "C", "C", "C", "C", "C", "C", "C", "C", "C", "C", "C", "C", "C", "C", "C", "P", "C", "C", "C", "C", "C", "C", "C", "C", "C", "C", "C", "C", "H", "H", "H", "H", "H", "H", "H", "H", "H", "H", "H", "H", "H", "H", "H", "H", "H", "H", "H", "H", "H", "H", "H", "H", "H", "H", "H", "H", "H", "H", "H", "H", "H", "H", "H", "H", "H", "H", "H", "H", "H", "H", "H", "H", "H", "H", "H", "H", "H", "H", "H", "H", "H", "H", "H", "C", "C", "O", "S", "C", "C", "C", "C", "C", "C", "C", "C", "H", "H", "H", "H", "H", "H", "H"],

### Done
{
  "formula": "C47H62OP2SSiSn",
  "method": "the ωB97M-V functional and the def2-TZVPD basis",
  "gap_ev": 6.43,
  "e_tot_ha": -3487.56403,
  "de_lowest_kcal_mol": 46.19,
  "fmax_ev_per_a": 0.769,
  "total_charge": 2,
  "e_homo_ev": -13.10,
  "symbols": ["Sn", "C", "Si", "C", "C", "C", "C", "C", "C", "P", "C", "C", "C", "C", "C", "C", "C", "C", "C", "C", "C", "C", "C", "C", "C", "C", "C", "C", "P", "C", "C", "C", "C", "C", "C", "C", "C", "C", "C", "C", "C", "H", "H", "H", "H", "H", "H", "H", "H", "H", "H", "H", "H", "H", "H", "H", "H", "H", "H", "H", "H", "H", "H", "H", "H", "H", "H", "H", "H", "H", "H", "H", "H", "H", "H", "H", "H", "H", "H", "H", "H", "H", "H", "H", "H", "H", "H", "H", "H", "H", "H", "H", "H", "H", "H", "H", "C", "C", "O", "S", "C", "C", "C", "C", "C", "C", "C", "C", "H", "H", "H", "H", "H", "H", "H"],